Obama... don't make me say McCain was right

on another point lets talk about the WMD's the original reason for the invasion, of which none turned up. We had inspectors in the country doing their job there was no need at that point to invade.

We also have Bush as will Mccain kicking out talented gays who can intercept and decode arabic languages being kicked out due to just being gay. these types of actions are not putting country first they are putting religion and their views first.
What the fuck are you talking about? You're "not voting for him?" That's how you take him to task for this disaster?

Jesus f'in Christ - you are a real piece of work, Damo. I mean where are the threads like this for McCain; I mean where are your "LOL's" when people criticize McCain for his war failures & misjudgments; I mean where is your jocular kidding around with Superhack about McCain not even getting close to what Obama said yesterday, with an admission on a WAR, and not just a surge?

You're beyond hope. You don't even realize how much of a pathetic hack you are.
Says the kettle to his reflection.

Seriously? This is your position? I'm a "hack" because I back up what I say with action...

I want this fixed, so that never again we will have a Senator who votes us into war with a set up excuse he tries to use while running on a mini-surge for the war. I support candidates that appreciate this. Like Steve Ward, or Mike Coffman, I am not moving from the position regardless of what you like to pretend.

Yes, I am a republican. But I am not any sort of "hack", I take my beliefs and put them directly into action by taking an active role in the party.

Thankfully I get to vote for Mike, who when asked if he supported the WPA directly, by myself sitting less than two feet from him, answered directly that he did not and that he would oppose the continuation and work to repeal that inane excuse that the Congress handed themselves.

I do not need your inane assumptions nor even recognition from you to know that I am doing what I need to in order to support my beliefs.
Call me crazy, but I don't believe you speak for God. I also don't believe your numbers, you lie a lot, in case no one has noticed. Besides, over 50 million people are now free, liberated from tyrant third-world fanatics who believe women are equal to sheep and goats...literally!

As for crawling to God for forgiveness... it's going to take a lot of crawling for you to make up for the 40 million unborn lives you're responsible for, so I wouldn't worry too much about Dixie, if I were you.

huh, what you smokin, I want some!
Besides, over 50 million people are now free, liberated from tyrant third-world fanatics who believe women are equal to sheep and goats...literally!

That certainly is a good thing, and we should thank our brave men and women on the front lines doing their part. But this is another bush lie who said that he's not into nationbuilding. Personally its not our responsibility to police the world. We cant do that alone and we cant pay for it alone. There are injustices going on in the world far worse than Iraq. Look at china's human rights violations. Look at Georgia and Russia.
the left wont be happy until we either lose, or until they are in charge ...end of story
"Thats the kind of commander in chief I want running the white house. someone who will use our military as a last resort."

Maybe we can get a show of hands out of the "surge success outweighs boneheaded decision to go to war in the 1st place" crowd on this thread:

Can we agree on that one, simpletons, or are you all still down with the Bush doctrine?

Is Afghanistan a "last resort?"

Is Pakistan a last resort?

I was against the Bush wars as I am against the impending Obama wars.

Can you say that?
Call me crazy, but I don't believe you speak for God. I also don't believe your numbers, you lie a lot, in case no one has noticed. Besides, over 50 million people are now free, liberated from tyrant third-world fanatics who believe women are equal to sheep and goats...literally!

As for crawling to God for forgiveness... it's going to take a lot of crawling for you to make up for the 40 million unborn lives you're responsible for, so I wouldn't worry too much about Dixie, if I were you.

No this is reliable shit, I got it straight from the conduit himself, Bush. You’re in a lot of trouble and so is George. I hope you’re not one of those heavy sweaters…it’ll only be worse for you if so.
the only thing the left has done with this war is use it for political gain...
Is Afghanistan a "last resort?"

Is Pakistan a last resort?

I was against the Bush wars as I am against the impending Obama wars.

Can you say that?

We are alreayd in Afghanistan and I don't think Obama has said he's actually going to invade Pakistan...though I have concerns about that situation, on many counts. From an attack here being orchestrated from there (warriors o the other side do exist), to the US launching a preemptive strike. I could be crazy, but I believe Obama is going to find a better way there. I KNOW what McCain is going to do.
We are alreayd in Afghanistan and I don't think Obama has said he's actually going to invade Pakistan...though I have concerns about that situation, on many counts. From an attack here being orchestrated from there (warriors o the other side do exist), to the US launching a preemptive strike. I could be crazy, but I believe Obama is going to find a better way there. I KNOW what McCain is going to do.

• Crystal structures, kept here for reference:
Entry from Materials Project: a relaxed structure of Sr15La2Cl36 (PBE).

Structure (CIF):
```
data_Sr15La2Cl36
_chemical_formula_sum 'Sr15 La2 Cl36'
_space_group_name_H-M_alt 'P 1'
_space_group_IT_number 1
_cell_length_a 4.996
_cell_length_b 4.996
_cell_length_c 85.233
_cell_angle_alpha 60.12
_cell_angle_beta 60.12
_cell_angle_gamma 60.00
loop_
_space_group_symop_operation_xyz
'x,y,z'
loop_
_atom_site_label
_atom_site_type_symbol
_atom_site_fract_x
_atom_site_fract_y
_atom_site_fract_z
Cl1 Cl 0.249 0.249 0.250
Cl2 Cl 0.250 0.250 0.485
Cl3 Cl 0.249 0.249 0.603
Sr1 Sr 0.001 0.001 0.647
Cl4 Cl 0.238 0.238 0.017
Cl5 Cl 0.750 0.750 0.221
Cl6 Cl 0.286 0.286 0.832
Cl7 Cl 0.750 0.750 0.279
Sr2 Sr 0.001 0.001 0.176
Cl8 Cl 0.249 0.249 0.368
Cl9 Cl 0.241 0.241 0.781
Cl10 Cl 0.748 0.748 0.103
Cl11 Cl 0.750 0.750 0.162
Sr3 Sr 0.001 0.001 0.235
La1 La 0.976 0.976 0.945
Sr4 Sr 0.998 0.998 0.059
Cl12 Cl 0.248 0.248 0.074
Sr5 Sr 0.001 0.001 0.470
Cl13 Cl 0.750 0.750 0.456
Sr6 Sr 0.001 0.001 0.588
Cl14 Cl 0.750 0.750 0.515
Sr7 Sr 0.993 0.993 0.001
Cl15 Cl 0.747 0.747 0.045
Cl16 Cl 0.249 0.249 0.662
Sr8 Sr 0.001 0.001 0.412
Cl17 Cl 0.250 0.250 0.544
Cl18 Cl 0.249 0.249 0.427
Cl19 Cl 0.518 0.518 0.967
Cl20 Cl 0.249 0.249 0.132
Cl21 Cl 0.750 0.750 0.338
Sr9 Sr 0.002 0.002 0.764
Cl22 Cl 0.749 0.749 0.691
Cl23 Cl 0.285 0.285 0.950
Sr10 Sr 0.001 0.001 0.294
Sr11 Sr 0.001 0.001 0.353
Cl24 Cl 0.765 0.765 0.806
Cl25 Cl 0.734 0.734 0.988
Cl26 Cl 0.750 0.750 0.750
Cl27 Cl 0.249 0.249 0.309
Cl28 Cl 0.764 0.764 0.924
Sr12 Sr 0.996 0.996 0.883
La2 La 0.976 0.976 0.828
Sr13 Sr 0.000 0.000 0.706
Cl29 Cl 0.750 0.750 0.632
Cl30 Cl 0.750 0.750 0.397
Cl31 Cl 0.750 0.750 0.574
Cl32 Cl 0.737 0.737 0.870
Cl33 Cl 0.517 0.517 0.850
Cl34 Cl 0.250 0.250 0.191
Cl35 Cl 0.250 0.250 0.721
Sr14 Sr 0.001 0.001 0.529
Sr15 Sr 0.001 0.001 0.118
Cl36 Cl 0.230 0.230 0.901
```

Calculated values
electronic total energy: -230.49 eV for the cell shown
SG: No. 160


Entry from Materials Project: a relaxed structure of CsBrO4 (PBE).

Structure (CIF):
```
data_CsBrO4
_chemical_formula_sum 'Cs2 Br2 O8'
_space_group_name_H-M_alt 'P 1'
_space_group_IT_number 1
_cell_length_a 8.643
_cell_length_b 8.643
_cell_length_c 8.643
_cell_angle_alpha 140.28
_cell_angle_beta 140.28
_cell_angle_gamma 57.43
loop_
_space_group_symop_operation_xyz
'x,y,z'
loop_
_atom_site_label
_atom_site_type_symbol
_atom_site_fract_x
_atom_site_fract_y
_atom_site_fract_z
O1 O 0.562 0.330 0.768
O2 O 0.544 0.812 0.732
Cs1 Cs 0.750 0.250 0.500
O3 O 0.206 0.438 0.768
Cs2 Cs 0.000 0.000 0.000
O4 O 0.188 0.456 0.268
O5 O 0.080 0.812 0.268
O6 O 0.188 0.920 0.732
O7 O 0.670 0.438 0.232
Br1 Br 0.250 0.750 0.500
Br2 Br 0.500 0.500 0.000
O8 O 0.562 0.794 0.232
```

Calculated values
electronic total energy: -49.45 eV for the cell shown
SG: No. 141


Which value of electronic total energy does entry 2 give? -49.45 eV for the cell shown
• Back to the entry:

what are obamas options ? what d you think he will do? what do you think he should do.
"Thats the kind of commander in chief I want running the white house. someone who will use our military as a last resort."

Maybe we can get a show of hands out of the "surge success outweighs boneheaded decision to go to war in the 1st place" crowd on this thread:

Can we agree on that one, simpletons, or are you all still down with the Bush doctrine?

Oncie... no one agrees with you, if they do, they should seek medical help immediately. IF Iraq was the wrong thing to do, Congress would have overwhelmingly rejected it instead of overwhelmingly supporting it. The problem you have is understanding things in context of reality, you want to look at things in retrospect instead. At the time, our intelligence indicated some pretty severe shit, and we had to assume the intelligence was right, because it's all we had to go on. Hesitating to second-guess your intelligence, can be catastrophic, and even fatal. It's kind of like, when they have a fire alarm go off at your Home for the Retarded... does the fire department assume some retard just pulled the fire alarm again, or do they actually have to respond? Well, they have to respond, because their 'intelligence' indicates a problem, and they can't afford to ignore it.
atleast we have a mutial opinion about each other

It is expected that mindboggling stupid people don't care for people with brains.

=====
Record 1
Density functional theory data (PBE-GGA) for GeBO3 after structural relaxation.

## Properties
- uncorrected energy (eV/atom) = -5.83
- space group = No. 221

Cell lengths 3.407, 3.407, 3.407 Å; angles 90.00, 90.00, 90.00 degrees
Atoms (fractional coordinates):
Ge  0.000  0.000  0.000
B  0.500  0.500  0.500
O  0.500  0.500  0.000
O  0.500  0.000  0.500
O  0.000  0.500  0.500

=====

Record 2
Density functional theory data (PBE-GGA) for Ca3TlO5 after structural relaxation.

## Properties
- uncorrected energy (eV/atom) = -5.75
- space group = No. 63

Cell lengths 5.912, 5.912, 13.647 Å; angles 90.00, 90.00, 146.81 degrees
Atoms (fractional coordinates):
Ca  0.729  0.271  0.113
Ca  0.271  0.729  0.887
Ca  0.271  0.729  0.613
Ca  0.729  0.271  0.387
Ca  0.472  0.528  0.250
Ca  0.528  0.472  0.750
Tl  0.000  0.000  0.000
Tl  0.000  0.000  0.500
O  0.916  0.084  0.645
O  0.084  0.916  0.355
O  0.084  0.916  0.145
O  0.916  0.084  0.855
O  0.639  0.361  0.548
O  0.361  0.639  0.452
O  0.361  0.639  0.048
O  0.639  0.361  0.952
O  0.834  0.166  0.250
O  0.166  0.834  0.750

=====

Record 3
Density functional theory data (PBE-GGA) for Na6CaZr3Si2P4O24 after structural relaxation.

## Properties
- uncorrected energy (eV/atom) = -7.31
- space group = No. 1

Cell lengths 9.239, 9.257, 22.771 Å; angles 89.95, 90.09, 120.06 degrees
Atoms (fractional coordinates):
Na  0.000  0.996  0.501
Na  0.999  0.998  0.000
Na  0.645  0.296  0.832
Na  0.648  0.329  0.322
Na  0.323  0.666  0.161
Na  0.323  0.662  0.666
Na  0.654  0.014  0.241
Na  0.985  0.623  0.237
Na  0.632  0.620  0.741
Na  0.990  0.371  0.745
Na  0.666  0.977  0.587
Na  0.663  0.679  0.078
Na  0.023  0.345  0.085
Na  0.971  0.667  0.919
Na  0.335  0.306  0.918
Na  0.960  0.284  0.410
Na  0.330  0.030  0.411
Na  0.714  0.688  0.415
Ca  0.004  0.003  0.350
Ca  0.656  0.330  0.684
Ca  0.658  0.328  0.179
Zr  0.996  0.000  0.856
Zr  0.007  0.995  0.646
Zr  0.011  0.003  0.150
Zr  0.669  0.332  0.981
Zr  0.668  0.338  0.486
Zr  0.334  0.676  0.014
Zr  0.336  0.665  0.521
Zr  0.337  0.666  0.313
Zr  0.337  0.676  0.816
Si  0.670  0.640  0.587
Si  0.973  0.638  0.086
Si  0.628  0.663  0.917
Si  0.038  0.374  0.916
Si  0.338  0.968  0.915
Si  0.625  0.969  0.418
P  0.300  0.992  0.255
P  0.698  0.703  0.252
P  0.003  0.305  0.252
P  0.287  0.297  0.753
P  0.009  0.711  0.753
P  0.708  0.991  0.748
P  0.967  0.330  0.587
P  0.366  0.033  0.580
P  0.670  0.029  0.087
P  0.362  0.336  0.080
P  0.345  0.381  0.418
P  0.038  0.654  0.417
O  0.231  0.003  0.315
O  0.786  0.780  0.311
O  0.993  0.215  0.310
O  0.194  0.202  0.809
O  0.008  0.807  0.808
O  0.815  0.991  0.801
O  0.797  0.982  0.691
O  0.180  0.194  0.699
O  0.012  0.816  0.698
O  0.802  0.824  0.200
O  0.012  0.204  0.198
O  0.181  0.986  0.205
O  0.898  0.353  0.644
O  0.484  0.102  0.632
O  0.644  0.545  0.648
O  0.904  0.530  0.145
O  0.642  0.086  0.146
O  0.474  0.371  0.133
O  0.441  0.311  0.024
O  0.840  0.537  0.031
=====
• Back to the entry:

Haven't read much intellect coming from you sir .. usually just a teenage doobie provoked comment that I normally ignore.

Please .. bless me with a show of intelligence .. try the Georgia/Russian conflict .. or would you prefer to talk about the wonders of the past 8 years.

Don't run Gomer .. let's hear some of that vaunted right-wing intellectual prowess. :)

got my popcorn waiting ..
It is expected that mindboggling stupid people don't care for people with brains.

Haven't read much intellect coming from you sir .. usually just a teenage doobie provoked comment that I normally ignore.

Please .. bless me with a show of intelligence .. try the Georgia/Russian conflict .. or would you prefer to talk about the wonders of the past 8 years.

Don't run Gomer .. let's hear some of that vaunted right-wing intellectual prowess. :)

got my popcorn waiting ..

gee arnt we arogent
We are alreayd in Afghanistan and I don't think Obama has said he's actually going to invade Pakistan...though I have concerns about that situation, on many counts. From an attack here being orchestrated from there (warriors o the other side do exist), to the US launching a preemptive strike. I could be crazy, but I believe Obama is going to find a better way there. I KNOW what McCain is going to do.

We are already in Iraq .. but that was never a last resort, nor was Afghanistan.

Pakistan is about to boil over as we continue to murder innocent civilians there.

U.S. Airstrikes Kill Pakistani Troops

Just one of many incidents and the backlash is growing and OBAMA supports this.
Awwwww, they always have to make the "doobie" comments, come one can't ya do better than that?
Many great minds smoke pot, it enhances some people's thoughts, Carl Sagan loved it!
No this is reliable shit, I got it straight from the conduit himself, Bush. You’re in a lot of trouble and so is George. I hope you’re not one of those heavy sweaters…it’ll only be worse for you if so.

WOW... Do you think George might actually LOSE the election?
